Rebirth and Undying

Troan had a dream that he once had. Or was it even a dream in the first place? He saw a staircase on a cloud that descended. Climbing upstairs took like forever. He was walking upstairs with just the echoes of his feet being heard.

He arrived at last at the top and was greatly exhausted. Hands on the last step and then crawled upwards. His mouth was open agape and panting. He was catching up his breath then coughed several times after swallowing his saliva halfheartedly while breathing.

(1)
A plane-wave DFT calculation with GGA+U was carried out for a relaxed TmTlW2O8 crystal.

abc: 7.5998 7.5998 7.4600
angles: 117.75 117.75 88.07
Last column: nearest neighbours and their distance in Å.
Positions (direct):
Tm: 0.2232 0.7768 0.7500  6 O 2.24-2.28
Tm: 0.7768 0.2232 0.2500  6 O 2.24-2.28
Tl: 0.2050 0.7950 0.2500  10 O 2.87-3.11
Tl: 0.7950 0.2050 0.7500  10 O 2.87-3.11
W: 0.2982 0.3091 0.7839  4 O 1.84-2.03
W: 0.3091 0.2982 0.2839  4 O 1.84-2.03
W: 0.6909 0.7018 0.7161  4 O 1.84-2.03
W: 0.7018 0.6909 0.2161  4 O 1.84-2.03
O: 0.0410 0.2200 0.1914  1 W 1.84
O: 0.0574 0.3691 0.6179  1 W 1.86
O: 0.2200 0.0410 0.6914  1 W 1.84
O: 0.2441 0.3799 0.0593  2 W 1.90-2.10
O: 0.3691 0.0574 0.1179  1 W 1.86
O: 0.3703 0.5928 0.5371  2 W 2.03-2.12
O: 0.3799 0.2441 0.5593  2 W 1.90-2.10
O: 0.4072 0.6297 0.9629  2 W 2.03-2.12
O: 0.5928 0.3703 0.0371  2 W 2.03-2.12
O: 0.6201 0.7559 0.4407  2 W 1.90-2.10
O: 0.6297 0.4072 0.4629  2 W 2.03-2.12
O: 0.6309 0.9426 0.8821  1 W 1.86
O: 0.7559 0.6201 0.9407  2 W 1.90-2.10
O: 0.7800 0.9590 0.3086  1 W 1.84
O: 0.9426 0.6309 0.3821  1 W 1.86
O: 0.9590 0.7800 0.8086  1 W 1.84

Summary:
Calculated total energy ... -7.34 eV per atom

=====

(2)
A plane-wave DFT calculation with GGA+U was carried out for a relaxed Li2CrP2O7 crystal.

abc: 7.5511 7.5511 11.2320
angles: 90.43 90.43 116.76
Last column: nearest neighbours and their distance in Å.
Positions (direct):
Li: 0.2068 0.7800 0.4992  4 O 1.91-2.02
Li: 0.2096 0.7904 0.7500  4 O 1.92-2.02
Li: 0.2156 0.7844 0.2500  4 O 1.92-2.02
Li: 0.2200 0.7932 0.0008  4 O 1.91-2.02
Li: 0.7800 0.2068 0.9992  4 O 1.91-2.02
Li: 0.7844 0.2156 0.7500  4 O 1.92-2.02
Li: 0.7904 0.2096 0.2500  4 O 1.92-2.02
Li: 0.7932 0.2200 0.5008  4 O 1.91-2.02
Cr: 0.2016 0.2037 0.1201  4 O 2.08-2.11
Cr: 0.2037 0.2016 0.6201  4 O 2.08-2.11
Cr: 0.7963 0.7984 0.3799  4 O 2.08-2.11
Cr: 0.7984 0.7963 0.8799  4 O 2.08-2.11
P: 0.1835 0.4116 0.8705  4 O 1.50-1.64
P: 0.1997 0.4161 0.3730  4 O 1.50-1.64
P: 0.4116 0.1835 0.3705  4 O 1.50-1.64
P: 0.4161 0.1997 0.8730  4 O 1.50-1.64
P: 0.5839 0.8003 0.1270  4 O 1.50-1.64
P: 0.5884 0.8165 0.6295  4 O 1.50-1.64
P: 0.8003 0.5839 0.6270  4 O 1.50-1.64
P: 0.8165 0.5884 0.1295  4 O 1.50-1.64
O: 0.0716 0.2905 0.9800  1 P 1.55
O: 0.0798 0.3034 0.7536  1 P 1.55
O: 0.0862 0.3038 0.2594  1 P 1.55
O: 0.0868 0.3080 0.4856  1 P 1.55
O: 0.2267 0.6262 0.8743  1 P 1.50
O: 0.2566 0.6344 0.3746  1 P 1.50
O: 0.2905 0.0716 0.4800  1 P 1.55
O: 0.3034 0.0798 0.2536  1 P 1.55
O: 0.3038 0.0862 0.7594  1 P 1.55
O: 0.3080 0.0868 0.9856  1 P 1.55
O: 0.3656 0.7434 0.1254  1 P 1.50
O: 0.3738 0.7733 0.6257  1 P 1.50
O: 0.4004 0.4096 0.8739  2 P 1.64
O: 0.4096 0.4004 0.3739  2 P 1.64
O: 0.5904 0.5996 0.6261  2 P 1.64
O: 0.5996 0.5904 0.1261  2 P 1.64
O: 0.6262 0.2267 0.3743  1 P 1.50
O: 0.6344 0.2566 0.8746  1 P 1.50
O: 0.6920 0.9132 0.0144  1 P 1.55
O: 0.6962 0.9138 0.2406  1 P 1.55
O: 0.6966 0.9202 0.7464  1 P 1.55
O: 0.7095 0.9284 0.5200  1 P 1.55
O: 0.7434 0.3656 0.6254  1 P 1.50
End of the crystal structures:

"Uhug! Uhug! Uhug! Ugh! The pain!" Troan smashed his chest several times to alleviate what he felt.

He saw a gate wide and tall, with golden engravings and decorated with precious stones. Also had some sparkling lights that were emanating from the engravings.

He soon went to face the humongous gate that has a ring to knock into. Approaching the gate, he knocked three times and it soon responded.

Ting! Ting! Ting!

The creaking gate soon opened up and he was astounded by what he has seen.

It was then, that he saw a throne that has a majestic design. Even the very pillars of gates were also grand. Golden and full of precious stones.

Upon facing a throne, sitting on it was a person that was robbed in white. His head was laid on his hands perching on it while he sat at his throne. Troan was hesitating to speak as he stepped forward and so the person initiated the conversation.

"Hello Troan, how are you?" ask the person.

"I'm fine, mind if I ask? What is this place?" asked Troan, confused.

"Ah, you are in my realm. I can see that you are confused. Remember me when I went to the palace and gave the tribes their powers and job class?"

"Ah, so you are Alpha! That was surprising! I totally forgot. Many Gods ascended so I had that one not expected. I had that one expected the least, to know that it was the God of creation himself! ," Troan smirked.

"I am an Origin God born directly from the Origin stones. Humans who ascended to Gods were just called Ascended Gods. They were lower in comparison. Now now, we have greater matters to discuss," with just the snap of his fingers, the location changed.

They were inside a room that has a table and it felt mansion-like. The chandelier on top of the room was brimming with golden lights. Troan felt an instantaneous shock at the moment. He was sitting in front of a table with a tea on hand, still steaming.

"So with just a snap, everything changes?" Troan asked.

"Ah, yes. Your tea," Alpha gestured.

"Okay, well, what do you want? I am not here to just drink tea yes?" Troan asked.

"Glad you made things simpler. You are about to be reincarnated for the last time. Or not the last if you want. I will give you my origin stone and protect it. Kill the demons with it and save humanity. You are the only capable one," said Alpha.

"Well, you see I am not heroic in any sense. I am a tired old soul that needs eternal rest. I do want to die and be at peace, I don't care about the world. Ever since I lived and fought, all my loved ones are killed. It made me get tired of fighting," Troan explained.

Alpha then was silent. He was obviously affected by what he said. He clenched his fist and then said.

"Well, the world is not saved all this time because you are rejecting your fate. Many lives could have been saved. I can't tolerate your irresponsibility and ended your rebirth forcefully," he said.

Troan was perplexed, he didn't know it was because of him all along.

"Oh, so it was you. Bring back my rebirth!" Troan raised a voice. It went silent for a moment.

"Okay, in one condition. Save humanity," Alpha said to him.

Troan was in deep thoughts, though the offer was not specifically bad, it would take his all to do it. After deliberately thinking of his chances of success, it was not impossible. Though that would be a trial through fire.

"Okay, I agree,"


"But bring me back my rebirth now or else I will not accept,"

"Okay sure, it was your own powers, to begin with,"

"My powers?" Troan asked perplexed.

"Hmmm, it has been a long time since we talked like this. You are a God in the past. You are Gamma, the God of Rebirths and Undying. It has been so long since you died after shielding the Demon God's attack to protect me. Your soul rebirthed but lost your God status, also your memories," Alpha said to him.


"Yes! You Troan was on Rebirth And Doom was on Undying. You and he are one! Two person in one being! Isn't it great?"

"What?" Troan was perplexed by what he has heard.

"Wow! Two person in one? How is that possible?" Troan paused then laughed.

"Haha just joking, well Doom was pretty much my guardian or some sort. He protects me and wanted anything for my best. Though he was blunt sometimes or appearing cold. But he will be a great company. I hope I can make him a companion in the future," Toan pondered and a great idea came to him.

"Aha! I know just what to do! And I will need a Druid skill book for that!" he shouted.

"That is why you are the only one capable left. With you as a human, that is what I have as a trump card. Doom too!"

"Okay, that is hard to digest but okay. Let me think things through. I am a God?" he paused.

"Yes, you are born from the Origin stone and the third God to be born. An Origin God to be precise. Well, the second one was the demon god of course. But let us discuss that at another time. Time is of the essence, I will give you the origin stones and be its protector," He said then gave him the stones.

It oozed out a yellowish glow and was floating on Troan's palm. It went inside him after it and he felt that his being has become anew. His eyes glowed and he inhaled huge air for a moment.

"The stone is bound on your soul, don't lose it and protect it at all cost," He said to him then he coughed.

"As for your rebirth, I prepared it beforehand. You will rebirth into the son of a Prince of the Kingdom. You should rebuild humanity once again and stand strong. For there will be a war that was coming. At least the humans are prepared beforehand,"

"Um, sure."

"I am greatly weakened as of now. I put up a barrier to hinder the ascended Demon gods to descend on the plains but it was not stopping the weaker enemies from entering. Lesser evils will pass through by summoning on sacrifice altars. I almost used up my divinity and need rest. That is why I am asking for your help," said Alpha then swallowed his saliva.

It was then, Alpha stared at him and was in deep thoughts. It made Troan have weird feelings and a sense of discomfort.

"What?" Troan asked.

"As bonus info, I sensed something weird. I tried to hide it but it seems that you have all the job class imprints already. As well as all the elements, I can feel them with just a glance," Alpha said then winked.

"What? How?"

It was then, that he touched him and Troan glowed. From his body emerged all the imprints and their seal. Glowing also in different colors as well as encircling above him. The elements were also present and were brimming with radiance. Troan was in utter disbelief, he can't believe what he saw. All he could do was watch it with bright eyes. Seems unbelievable to him but he just swallowed his saliva hard.

"You have all the job class imprints as your soul has already received them in your past lives. Also, you have all elemental affinities as your past lives have already had their imprint on your soul. You can thank your rebirth powers from your past life! As expected of Gamma! You are splendid and decent God yourself! Not bad!" Alpha then crossed his arms.

"What? Are you bluffing?" Troan was perplexed. Brows went up with eye-bulging in the process.

"So that means, I can use all job classes now?"

"Yes! Of course! Your soul accumulated all the job classes imprints per rebirth and all its elemental affinities! All elements and all job class!" Alpha bellowed.

"Wow, that's great news!"

It was very shocking on his part. He didn't know if it was real or not but it surely was a great thing for him. Luckily, in the past, he tried to accumulate all job class imprints and thanks to it, he managed to receive all of the imprints. It was very mind-blogging as he felt excited when he knew the info he received. His stomach was churning and butterflies felt like flying inside his belly.

With the fact that it will greatly help him in his future endeavors, he can only smirk and smile while in a stupor.

Troan then took a sip of his tea and was surprised. How can a dream have such realistic taste! Maybe it was not a dream at all. Even he slapped himself twice with both hands and the pain was all real. Thinking that it was not a delusion at all, he then smirked.

"You should rescue your lover though and take revenge, she was your only one in all those past years," Alpha muttered.

"My Ellaine? The Demon God's wife? She was tainted and was corrupted by him. I felt lost and hopeless when she was corrupted. I was weak at the time when the Demon God corrupted her. Making her an evil empress. I battled her too in the past but I can't kill her. She was the reason that I almost gave up saving the world. I am not heroic at all! But there is hope as you can cleanse her. Can you?"

"Yes! Easy!" he winked.

"Okay, it is settled then. I will try to save the world. Let me rebirth for the last time." Troan said to him.